⭐️⭐️⭐️⭐️⭐️ A completely engrossing and thought provoking novel on all levels. I almost gave up in the beginning, so glad I didn‘t. Once it grabs, it grabs hard.
⭐️⭐️⭐️⭐️⭐️ A completely engrossing and thought provoking novel on all levels. I almost gave up in the beginning, so glad I didn‘t. Once it grabs, it grabs hard.
I loved The Overstory so much that I tried to lower my expectations while reading this novel about a Canadian diver & ocean scientist, the founder of a wildly successful social media platform, & the inhabitants of a remote island, the proposed site for a seasteading venture. The novel is strongest when describing connections to the natural world, although the revelatory ending made me reassess my view of certain subplots. A thought-provoking read.
It took me a minute to get into this but I am absolutely riveted by the characters in this book (especially Eve the female diver)
Data records, kept here for reference:
Record 1
20
Properties=species:S:1:pos:R:3:forces:R:3:lowdin_spin:R:1 method="wB97M-V/def2-TZVPD" total_charge=-2 homo_ev="4.48 / -0.25" largest_force_ev_per_a=1.17 spin_multiplicity=2 s_squared=0.751
C -2.600 -0.777 -0.870 0.034 0.209 0.053 0.02
N -2.482 0.471 -1.623 -0.555 0.136 0.528 0.00
C -1.454 1.341 -0.973 1.122 0.224 0.226 0.01
O -0.234 0.799 -0.879 -0.395 0.114 -0.189 0.01
H -1.629 -1.260 -0.720 -0.032 -0.141 -0.076 0.00
H -3.319 -1.446 -1.355 0.094 -0.096 -0.022 0.00
H -2.988 -0.543 0.126 -0.045 0.008 -0.019 0.00
H -2.067 0.247 -2.514 0.200 -0.134 -0.293 0.00
H -1.848 1.640 0.037 -0.443 -0.181 -0.152 0.00
H -1.473 2.292 -1.571 -0.120 -0.062 -0.092 0.00
C 2.694 -0.509 0.165 -0.040 -0.531 0.390 0.23
C 2.225 -0.235 1.590 -0.224 0.047 -0.052 0.31
N 0.753 -0.255 1.681 0.016 -0.048 -0.504 0.01
H 2.620 0.356 -0.488 -0.293 0.065 -0.064 0.02
H 3.729 -0.877 0.132 0.098 0.113 0.125 0.13
H 2.056 -1.318 -0.201 0.040 0.093 -0.329 0.02
H 2.602 -1.059 2.214 0.160 0.170 0.081 0.11
H 2.641 0.723 1.934 0.066 -0.106 0.089 0.09
H 0.457 0.268 2.498 -0.001 0.082 -0.106 0.03
H 0.315 0.141 0.819 0.320 0.037 0.405 0.00


Record 2
17
Properties=species:S:1:pos:R:3:forces:R:3:lowdin_charge:R:1 method="wB97M-V/def2-TZVPD" total_charge=0 homo_ev=-8.84 largest_force_ev_per_a=0.27 smiles=CCN1C[C@H]1C spin_multiplicity=1
C -1.929 0.897 0.302 0.014 0.170 0.095 -0.09
C -1.470 -0.367 -0.433 -0.205 -0.115 -0.025 -0.24
N -0.034 -0.663 -0.542 -0.089 0.046 -0.043 -0.09
C 0.613 -1.303 0.586 0.095 -0.192 0.157 -0.12
C 0.975 0.077 0.185 0.107 0.220 0.064 -0.36
C 2.234 0.421 -0.569 0.068 -0.034 -0.020 -0.06
H -2.947 0.761 0.677 0.064 -0.031 -0.104 0.07
H -1.315 1.167 1.165 -0.061 -0.178 -0.058 0.06
H -1.950 1.765 -0.363 0.132 -0.081 0.052 0.07
H -1.930 -1.249 0.026 -0.010 0.102 -0.039 0.11
H -1.857 -0.317 -1.456 0.026 -0.046 0.116 0.10
H 0.039 -1.432 1.507 0.065 0.085 -0.168 0.11
H 1.267 -2.140 0.342 -0.057 0.128 0.032 0.10
H 0.639 0.851 0.873 -0.015 -0.058 -0.116 0.12
H 2.992 0.848 0.096 -0.091 -0.039 -0.039 0.07
H 2.012 1.150 -1.354 0.054 -0.035 0.083 0.07
H 2.662 -0.466 -1.043 -0.097 0.056 0.012 0.08


Record 3
124
Properties=species:S:1:pos:R:3:forces:R:3:lowdin_spin:R:1 method="wB97M-V/def2-TZVPD" total_charge=+1 homo_ev="-9.57 / -9.87" largest_force_ev_per_a=4.89 spin_multiplicity=2 s_squared=0.767
Ta -1.198 -1.396 -0.338 -2.195 2.660 2.383 0.00
C -2.307 1.756 3.548 0.109 -0.175 0.107 0.02
C -1.263 2.359 2.871 -0.070 0.012 0.046 0.26
C -1.840 2.865 1.568 0.008 -0.003 0.004 0.17
C -3.175 2.592 1.610 -0.063 -0.012 -0.081 0.06
C -3.498 1.880 2.813 0.087 0.007 -0.070 0.30
C -4.866 1.433 3.235 -0.166 0.091 0.071 0.04
C -4.783 0.184 4.119 0.069 0.093 -0.088 0.01
C -5.505 2.586 4.036 0.017 -0.128 -0.037 0.03
C -5.746 1.127 2.015 0.138 0.056 0.097 0.01
C -1.176 3.527 0.371 0.032 -0.114 -0.184 0.02
C -0.137 2.607 -0.313 0.059 -0.078 0.081 0.01
C -0.512 4.859 0.758 0.033 -0.094 -0.186 0.01
C -2.218 3.872 -0.707 0.025 -0.023 0.145 0.00
C 0.054 2.658 3.571 0.101 0.087 0.097 0.03
Back to the text:
This is a brilliant masterpiece. Powers expertly weaves culture, class, technology and nature together to allow the reader to understand the impact we all have. His diverse characters reflects different viewpoints, especially poignant to issues we are facing and having to deal with. Powers has a magical way of writing that few authors can achieve, making Playground one of his crowning achievements.
He's a great writer, this is the third by him I've read this year.
His weaving of narrators, love, science and culture is superb, and the msrine focus is of such importance.
It spanned a good length of time and has such truths.
A book about love. Love between friends, love between partners, parental love and the love children have towards their parents. Most importantly it‘s a book about the love of nature and the sea and all the creatures that live in the sea.
So my hubby had to drive to Bend, OR. For work and I tagged along… so he took me to two book stores and this was Dudley‘s Bookshop … so cute and I found the book I wanted and a few more 🤣📚
I started this on audio and struggled to connect so switched to physical. However, whilst I really enjoyed the book overall, I think the lack of human connection might have been the issue rather than audio.
Neither of the two male MCs was very relatable and there was too much distance between all of the stories - they sort of came together at the end but I didn‘t feel emotionally connected.
It would still have made my #booker shortlist.
My pup is out of this lion costume collar now. Surgery went well, recovering largely done.
Powers is an author determined to make quality fiction out of pertinent science. Here he tosses us a red herring, when a social media leader, author of AI-based Playground, suffering from a disease that affects his mind, looks at the oceans. I was waiting for the environmental hammer, but his focus is different. Thought-provoking. Not subtle.
I loved it! I thought it followed a similar pattern to The Overstory, but focused on the ocean rather than trees. And, again, it's not so much about the plot as what it *means*. In short, it's a gorgeous "thinky" book that appeals to the heart (my favourite kind?). I'm disappointed it wasn't shortlisted.